(Excerpt)
<<<
Crystalline Na2UGaN4 at its relaxed geometry, computed with PBE.

abc: 5.235 3.458 6.015
angles: 90.00 106.54 90.00
Space group P2/m (No. 10)
Unique sites:
Na (0.000, 0.000, 0.000) [1 per cell]
Na (0.500, 0.500, 0.000) [1 per cell]
U (0.000, 0.500, 0.500) [1 per cell]
Ga (0.500, 0.000, 0.500) [1 per cell]
N (0.230, 0.000, 0.695) [2 per cell]
N (0.258, 0.500, 0.302) [2 per cell]

**Raw formation energy**: -0.447 eV/atom
**Final energy**: -53.831 eV for the cell shown
**M_tot**: 0.00 μB per atom


1.
A relaxed K3UI6Br2 crystal. Source: Alexandria, functional GGA-PBE.

The structure in POSCAR format:
```
K3UI6Br2
1.0
7.427 0.000 -0.521
0.000 9.667 0.000
-1.784 -4.834 8.952
I K U Br
6 3 1 2
Direct
0.742 0.896 0.792
0.258 0.104 0.208
0.264 0.125 0.819
0.736 0.875 0.181
0.736 0.306 0.181
0.264 0.694 0.819
0.500 0.000 0.500
0.500 0.500 0.500
0.000 0.500 0.000
0.500 0.000 0.000
0.265 0.665 0.329
0.735 0.335 0.671
```

Spin magnetization = 1.0 μB per cell
Calculated total energy = -3.43 eV per atom
Calculated volume = 633.7 Å³/cell
Mass density = 3345 kg/m³
Energy relative to the elements, uncorrected = -13.9 eV per formula unit
Space-group type = C2/m, No. 12

=====

2.
A relaxed Pr3Dy7 crystal. Source: Alexandria, functional GGA-PBE.

The structure in POSCAR format:
```
Pr3Dy7
1.0
4.863 0.000 -1.492
-0.976 6.359 -3.181
0.627 -0.561 10.715
Pr Dy
3 7
Direct
0.000 0.000 0.000
0.199 0.797 0.398
0.801 0.203 0.602
0.599 0.899 0.198
0.000 0.500 0.000
0.400 0.601 0.800
0.600 0.399 0.200
0.401 0.101 0.802
0.200 0.300 0.400
0.800 0.700 0.600
```

Spin magnetization = 0.0 μB per cell
Calculated total energy = -4.64 eV per atom
Formation energy = 19 kJ/mol of formula units
Calculated volume = 327.8 Å³/cell
DOS at the Fermi energy = 13.95 states/eV per cell
Mass density = 7903 kg/m³
Space-group type = C2/m, No. 12

=====

3.
A relaxed Tb3DyHo2Er6 crystal. Source: Alexandria, functional GGA-PBE.

The structure in POSCAR format:
```
Tb3DyHo2Er6
1.0
6.090 0.002 0.007
-3.042 5.276 0.007
-1.024 -1.773 11.463
Ho Er Tb Dy
2 6 3 1
Direct
0.333 0.667 0.000
0.667 0.333 0.000
0.250 0.250 0.751
0.083 0.416 0.249
0.584 0.917 0.751
0.416 0.083 0.249
0.750 0.750 0.249
0.917 0.584 0.751
0.833 0.167 0.500
0.167 0.833 0.500
0.500 0.500 0.500
0.000 0.000 0.000
```

Spin magnetization = 0.0 μB per cell
Calculated total energy = -4.57 eV per atom
Formation energy = 22 kJ/mol of formula units
Calculated volume = 368.5 Å³/cell
DOS at the Fermi energy = 15.99 states/eV per cell
Mass density = 8890 kg/m³
Space-group type = C2/m, No. 12

=====

4.
A relaxed Pr3GaNi2 crystal. Source: Alexandria, functional GGA-PBE.

The structure in POSCAR format:
```
Pr3GaNi2
1.0
6.831 -0.302 -0.235
1.922 6.562 -0.235
1.922 1.375 6.420
Pr Ni Ga
6 4 2
Direct
0.750 0.432 0.068
0.568 0.932 0.250
0.932 0.250 0.568
0.068 0.750 0.432
0.432 0.068 0.750
0.250 0.568 0.932
0.334 0.334 0.334
0.666 0.666 0.666
0.166 0.166 0.166
0.834 0.834 0.834
0.000 0.000 0.000
0.500 0.500 0.500
```

Spin magnetization = 0.0 μB per cell
Calculated total energy = -5.10 eV per atom
Formation energy = -161 kJ/mol of formula units
Calculated volume = 296.2 Å³/cell
DOS at the Fermi energy = 13.31 states/eV per cell
Mass density = 6838 kg/m³
Space-group type = R-3c, No. 167

=====

Question: Which value of mass density does entry 4 give?
Answer: 6838 kg/m³

=====

Question: Which formula does entry 3 have?
Answer: Tb3DyHo2Er6


# 1
Computed, not measured: a geometry-optimized KSi2Cl structure at the PBE-GGA level of DFT.

Computed properties:
M_tot: 0.000 μB/atom
formation energy from raw total energies: -430 meV per atom
symmetry: Cm, No. 8
E above lowest polymorph: 0 meV per atom

a = 3.960 Å, b = 3.960 Å, c = 8.112 Å
α = 78.03°, β = 78.03°, γ = 59.67°
Fractional coordinates of all 4 atoms:
1 Cl 0.480 0.480 0.498
2 K 0.747 0.747 0.728
3 Si 0.961 0.961 0.171
4 Si 0.312 0.312 0.104

# 2
Computed, not measured: a geometry-optimized SrLi2Fe structure at the PBE-GGA level of DFT.

Computed properties:
>>>

(To do)
Next, find the line above that holds "-3.042 5.276", then copy that line and all lines after it there.

(Result)
-3.042 5.276 0.007
-1.024 -1.773 11.463
Ho Er Tb Dy
2 6 3 1
Direct
0.333 0.667 0.000
0.667 0.333 0.000
0.250 0.250 0.751
0.083 0.416 0.249
0.584 0.917 0.751
0.416 0.083 0.249
0.750 0.750 0.249
0.917 0.584 0.751
0.833 0.167 0.500
0.167 0.833 0.500
0.500 0.500 0.500
0.000 0.000 0.000
```

Spin magnetization = 0.0 μB per cell
Calculated total energy = -4.57 eV per atom
Formation energy = 22 kJ/mol of formula units
Calculated volume = 368.5 Å³/cell
DOS at the Fermi energy = 15.99 states/eV per cell
Mass density = 8890 kg/m³
Space-group type = C2/m, No. 12

=====

4.
A relaxed Pr3GaNi2 crystal. Source: Alexandria, functional GGA-PBE.

The structure in POSCAR format:
```
Pr3GaNi2
1.0
6.831 -0.302 -0.235
1.922 6.562 -0.235
1.922 1.375 6.420
Pr Ni Ga
6 4 2
Direct
0.750 0.432 0.068
0.568 0.932 0.250
0.932 0.250 0.568
0.068 0.750 0.432
0.432 0.068 0.750
0.250 0.568 0.932
0.334 0.334 0.334
0.666 0.666 0.666
0.166 0.166 0.166
0.834 0.834 0.834
0.000 0.000 0.000
0.500 0.500 0.500
```

Spin magnetization = 0.0 μB per cell
Calculated total energy = -5.10 eV per atom
Formation energy = -161 kJ/mol of formula units
Calculated volume = 296.2 Å³/cell
DOS at the Fermi energy = 13.31 states/eV per cell
Mass density = 6838 kg/m³
Space-group type = R-3c, No. 167

=====

Question: Which value of mass density does entry 4 give?
Answer: 6838 kg/m³

=====

Question: Which formula does entry 3 have?
Answer: Tb3DyHo2Er6


# 1
Computed, not measured: a geometry-optimized KSi2Cl structure at the PBE-GGA level of DFT.

Computed properties:
M_tot: 0.000 μB/atom
formation energy from raw total energies: -430 meV per atom
symmetry: Cm, No. 8
E above lowest polymorph: 0 meV per atom

a = 3.960 Å, b = 3.960 Å, c = 8.112 Å
α = 78.03°, β = 78.03°, γ = 59.67°
Fractional coordinates of all 4 atoms:
1 Cl 0.480 0.480 0.498
2 K 0.747 0.747 0.728
3 Si 0.961 0.961 0.171
4 Si 0.312 0.312 0.104

# 2
Computed, not measured: a geometry-optimized SrLi2Fe structure at the PBE-GGA level of DFT.

Computed properties: